27 Jul Becoming a Legal Guardian in Washington State: What To Know
The courts can appoint legal guardians to act in the best interests of people who cannot handle their affairs on their own. Typically, guardianship is established to make a competent adult responsible for decisions on behalf of a minor, a senior citizen who is intellectually incapacitated and unable to make safe decisions on their own, or a child or adult with special needs.
A new guardianship law became effective in Washington State in January 2022. This new law permits the appointment of a guardian for persons who are unable to meet their basic health, safety, or self-care needs. In order to appoint a guardian under the new law, the court must find that less restrictive options—such as supported decision-making (SDM) or protective agreements, which are limited arrangements for specified types of decisions only—are not feasible. If there is a significant risk of harm to a person, the court can appoint a guardian.
Steps to Becoming a Guardian
People who have been convicted of crimes involving dishonesty or physical force are disqualified from being appointed as guardians. Employers, employees, or persons who are paid to care for the disabled person or minor child are not eligible, either, with some exceptions for family members. Guardians must be at least 21, or in the case of a parent asking to be a guardian, at least 18.
## Inserted here: crystal structures
+++
Record 1
Compound: ZnB10H26O8
Source: Materials Project
Functional: PBE
Structure: optimized geometry

Structure (POSCAR):
```
ZnB10H26O8
1.0
0.0000 -6.9087 0.0000
-6.5889 -3.4544 0.0000
-1.6537 -3.4544 -18.0776
H B Zn O
52 20 2 16
Direct
0.8702 0.4401 0.1487
0.6995 0.0367 0.9070
0.5831 0.7255 0.6276
0.9214 0.9562 0.2101
0.0876 0.5438 0.2899
0.7309 0.1915 0.0867
0.0786 0.0438 0.7899
0.7197 0.8663 0.7627
0.3487 0.6337 0.7373
0.5411 0.9401 0.6487
0.6417 0.4737 0.8559
0.3583 0.5263 0.1441
0.0638 0.2255 0.1276
0.0091 0.3085 0.4133
0.0287 0.9737 0.3559
0.6009 0.0716 0.1300
0.3382 0.7888 0.4435
0.7290 0.2468 0.4709
0.2691 0.8085 0.9133
0.4294 0.2888 0.9435
0.9713 0.0263 0.6441
0.2710 0.7532 0.5291
0.1202 0.6947 0.0826
0.8798 0.3053 0.9174
0.4169 0.2745 0.3724
0.3568 0.5367 0.4070
0.7159 0.7037 0.1721
0.1976 0.5716 0.6300
0.1929 0.3591 0.5569
0.8975 0.8053 0.4174
0.1089 0.1409 0.9431
0.3991 0.9284 0.8700
0.5532 0.7468 0.9709
0.8024 0.4284 0.3700
0.4083 0.2037 0.6721
0.3005 0.9633 0.0930
0.6432 0.4633 0.5930
0.1298 0.5599 0.8513
0.2803 0.1337 0.2373
0.6618 0.2112 0.5565
0.8911 0.8591 0.0569
0.4589 0.0599 0.3513
0.5706 0.7112 0.0565
0.1025 0.1947 0.5826
0.6513 0.3663 0.2627
0.9909 0.6915 0.5867
0.9362 0.7745 0.8724
0.2841 0.2963 0.8279
0.5917 0.7963 0.3279
0.4468 0.2532 0.0291
0.9124 0.4562 0.7101
0.8071 0.6409 0.4431
0.3461 0.6200 0.3453
0.3007 0.9647 0.2363
0.6539 0.3800 0.6547
0.6887 0.1200 0.8453
0.4692 0.7649 0.2990
0.8903 0.1304 0.7784
0.5330 0.7351 0.2010
0.4670 0.2649 0.7990
0.8305 0.1412 0.6866
0.6583 0.3588 0.8134
0.5017 0.5353 0.2637
0.1097 0.8696 0.2216
0.5308 0.2351 0.7010
0.3417 0.6412 0.1866
0.2009 0.6304 0.2784
0.6993 0.0353 0.7637
0.3113 0.8800 0.1547
0.7991 0.3696 0.7216
0.1695 0.8588 0.3134
0.4983 0.4647 0.7363
0.0000 0.5000 0.0000
0.5000 0.0000 0.5000
0.1509 0.6069 0.5804
0.9746 0.2668 0.9565
0.1979 0.2332 0.5435
0.4018 0.1497 0.3918
0.0254 0.7332 0.0435
0.6658 0.1690 0.5084
0.9434 0.3503 0.1082
0.0566 0.6497 0.8918
0.3342 0.8310 0.4916
0.6618 0.1069 0.0804
0.8491 0.3931 0.4196
0.3382 0.8931 0.9196
0.6569 0.6690 0.0084
0.3431 0.3310 0.9916
0.5982 0.8503 0.6082
0.8021 0.7668 0.4565
```

Calculated values
Crystal system   monoclinic
VASP energy   -4.936 eV per atom
Energy relative to the elements   -0.706 eV/atom
Total magnetic moment   0.082 μB per cell

***

Record 2
Compound: K3As11
Source: Materials Project
Functional: PBE
Structure: optimized geometry

Structure (POSCAR):
```
K3As11
1.0
-0.4651 10.9982 0.9403
-11.1978 -0.6285 1.8115
2.4164 -1.1410 14.5414
As K
44 12
Direct
0.2767 0.6844 0.2451
0.0061 0.0362 0.1409
0.2767 0.8156 0.7451
0.9939 0.5362 0.3591
0.5650 0.8861 0.2843
0.4939 0.9638 0.1409
0.7500 0.0000 0.4771
0.8264 0.9197 0.1103
0.2500 0.0000 0.5229
0.1736 0.0803 0.8897
0.2233 0.3156 0.2451
0.0061 0.4638 0.6409
0.7233 0.1844 0.2549
0.1018 0.4285 0.1313
0.5061 0.0362 0.8591
0.0650 0.8861 0.7157
0.7767 0.6844 0.7549
0.3982 0.9285 0.6313
0.1736 0.4197 0.3897
0.3264 0.9197 0.8897
0.3982 0.5715 0.1313
0.6736 0.0803 0.1103
+++
The court will prefer a person who is close to the person being protected, who knows the person, and who is sensitive to their needs. Family members most often fit this role, if eligible.
A person seeking to become a legal guardian in Washington State must file a petition in the court of the county where the person to be protected lives. They must also request the appointment of a “guardian ad litem,” who will act as the guardian for the individual whose interests are to be protected while the court is deciding on the petition for guardianship. The guardian ad litem files a report of their investigation of the circumstances of the person who is to be subject to the proposed guardianship, including a statement from their doctor or psychiatrist.
The person whose interests are at stake in the proceedings must be given notice of the petition for guardianship.
The court will hold a hearing to determine if guardianship is appropriate or if there is a less restrictive way to help the person, based on what is in their best interest.
Responsibilities of a Legal Guardian
Guardians must file annual reports specifying exactly how they have managed their wards’ affairs, including how they managed their wards’ money and how they fulfilled their wards’ personal care plans. A personal care plan is updated annually to reflect the ward’s current needs.
Guardians should not have more powers than are necessary to meet their wards’ needs. A limited guardianship may establish responsibilities only to make decisions about personal property, finances, contracts, marriage, or other specific categories of decisions. Unlimited guardianships give guardians almost total control over a person’s life: this is why the court must consider less restrictive alternatives if they are more appropriate.
If you believe that someone you love , requires a guardian, contact the experienced practitioners of family law in the Tri-Cities area of Washington State at LaCoste Family Law.